== What to do ==
Now echo the whole of the notes underneath exactly.

== Entries ==
[1]
Entry from the Alexandria database: a relaxed structure of LiCdIr2 (PBE-GGA).

Properties
**E_form**: 260 meV per atom
**Raw total energy**: -4.878 eV/atom
**Crystal system**: tetragonal

a = 2.7281 Å, b = 2.7281 Å, c = 8.3109 Å
α = 90.00°, β = 90.00°, γ = 90.00°
Space group P4/mmm (No. 123)
Inequivalent atoms, fractional coordinates:
Li 0.0000 0.0000 0.0000 (multiplicity 1)
Cd 0.0000 0.0000 0.5000 (multiplicity 1)
Ir 0.5000 0.5000 0.2358 (multiplicity 2)

***

[2]
Entry from the Alexandria database: a relaxed structure of BaHfIn2F8 (PBE-GGA).

Properties
**ΔE_f (raw)**: -37.17 eV per formula unit
**Raw total energy**: -5.791 eV/atom
**Crystal system**: triclinic

a = 4.6446 Å, b = 6.5107 Å, c = 7.9273 Å
α = 90.07°, β = 90.06°, γ = 93.36°
Space group P-1 (No. 2)
Inequivalent atoms, fractional coordinates:
Ba 0.0000 0.0000 0.0000 (multiplicity 1)
Hf 0.0000 0.0000 0.5000 (multiplicity 1)
In 0.5003 0.4987 0.7488 (multiplicity 2)
F 0.1141 0.8175 0.3052 (multiplicity 2)
F 0.1143 0.8180 0.6947 (multiplicity 2)
F 0.3643 0.1775 0.5004 (multiplicity 2)
F 0.4778 0.2457 0.9992 (multiplicity 2)

***

[3]
Entry from the Alexandria database: a relaxed structure of PaCoSnPt (PBE-GGA).

Properties
**E_form**: -442 meV per atom
**Raw total energy**: -7.103 eV/atom
**Crystal system**: cubic

a = 6.7330 Å, b = 6.7330 Å, c = 6.7330 Å
α = 90.00°, β = 90.00°, γ = 90.00°
Space group F-43m (No. 216)
Inequivalent atoms, fractional coordinates:
Pa 0.0000 0.0000 0.0000 (multiplicity 4)
Co 0.2500 0.2500 0.7500 (multiplicity 4)
Sn 0.0000 0.0000 0.5000 (multiplicity 4)
Pt 0.2500 0.2500 0.2500 (multiplicity 4)

***

[4]
Entry from the Alexandria database: a relaxed structure of La2AuCl (PBE-GGA).

Properties
**ΔE_f (raw)**: -4.70 eV per formula unit
**Raw total energy**: -4.919 eV/atom
**Crystal system**: monoclinic

a = 7.6567 Å, b = 4.4103 Å, c = 7.2516 Å
α = 90.00°, β = 110.51°, γ = 90.00°
Space group C2/m (No. 12)
Inequivalent atoms, fractional coordinates:
La 0.2481 0.0000 0.2450 (multiplicity 4)
Au 0.0000 0.0000 0.5000 (multiplicity 2)
Cl 0.0000 0.5000 0.0000 (multiplicity 2)

***

[5]
Entry from the Alexandria database: a relaxed structure of TbHoZr (PBE-GGA).

Properties
**E_form**: 90 meV per atom
**Raw total energy**: -5.829 eV/atom
**Crystal system**: trigonal

a = 3.4088 Å, b = 3.4088 Å, c = 8.4106 Å
α = 90.00°, β = 90.00°, γ = 120.00°
Space group P3m1 (No. 156)
Inequivalent atoms, fractional coordinates:
Tb 0.0000 0.0000 0.0000 (multiplicity 1)
Ho 0.3333 0.6667 0.6316 (multiplicity 1)
Zr 0.6667 0.3333 0.3169 (multiplicity 1)

***

[6]
Entry from the Alexandria database: a relaxed structure of NdY5Pd2 (PBE-GGA).

Properties
**E_form**: -362 meV per atom
**Raw total energy**: -6.296 eV/atom
**Crystal system**: orthorhombic

a = 3.8841 Å, b = 12.9171 Å, c = 18.2005 Å
α = 90.00°, β = 90.00°, γ = 90.00°
Space group Cmcm (No. 63)
Inequivalent atoms, fractional coordinates:
Nd 0.0000 0.1495 0.2500 (multiplicity 4)
Y 0.0000 0.1149 0.7500 (multiplicity 4)
Y 0.0000 0.1549 0.0435 (multiplicity 8)
Y 0.0000 0.4464 0.1021 (multiplicity 8)
Pd 0.0000 0.2429 0.6266 (multiplicity 8)

***

[7]
Entry from the Alexandria database: a relaxed structure of KMn (PBE-GGA).

Properties
**E_form**: 1177 meV per atom
**Raw total energy**: -3.957 eV/atom
**Crystal system**: tetragonal

a = 4.5521 Å, b = 4.5521 Å, c = 3.3436 Å
α = 90.00°, β = 90.00°, γ = 90.00°
Space group P4/mmm (No. 123)
Inequivalent atoms, fractional coordinates:
K 0.0000 0.0000 0.0000 (multiplicity 1)
Mn 0.5000 0.5000 0.5000 (multiplicity 1)


Entry 1:
Y4Zn2Rh: optimized geometry, PBE.

Its space group is I4/mmm (139). The total magnetization is 0.00 μB/f.u. As for the formation energy: -0.376 eV/atom.

POSCAR file:
```
Y4Zn2Rh
1.0
7.016 0.000 0.000
0.000 7.016 0.000
0.000 0.000 6.969
Y Zn Rh
8 4 2
Cartesian
1.754 1.754 1.742
1.754 1.754 5.227
1.754 5.262 1.742
1.754 5.262 5.227
5.262 1.754 1.742
5.262 1.754 5.227
5.262 5.262 1.742
5.262 5.262 5.227
0.000 3.508 0.000
0.000 3.508 3.485

== Completed ==
[1]
Entry from the Alexandria database: a relaxed structure of LiCdIr2 (PBE-GGA).

Properties
**E_form**: 260 meV per atom
**Raw total energy**: -4.878 eV/atom
**Crystal system**: tetragonal

a = 2.7281 Å, b = 2.7281 Å, c = 8.3109 Å
α = 90.00°, β = 90.00°, γ = 90.00°
Space group P4/mmm (No. 123)
Inequivalent atoms, fractional coordinates:
Li 0.0000 0.0000 0.0000 (multiplicity 1)
Cd 0.0000 0.0000 0.5000 (multiplicity 1)
Ir 0.5000 0.5000 0.2358 (multiplicity 2)

***

[2]
Entry from the Alexandria database: a relaxed structure of BaHfIn2F8 (PBE-GGA).

Properties
**ΔE_f (raw)**: -37.17 eV per formula unit
**Raw total energy**: -5.791 eV/atom
**Crystal system**: triclinic

a = 4.6446 Å, b = 6.5107 Å, c = 7.9273 Å
α = 90.07°, β = 90.06°, γ = 93.36°
Space group P-1 (No. 2)
Inequivalent atoms, fractional coordinates:
Ba 0.0000 0.0000 0.0000 (multiplicity 1)
Hf 0.0000 0.0000 0.5000 (multiplicity 1)
In 0.5003 0.4987 0.7488 (multiplicity 2)
F 0.1141 0.8175 0.3052 (multiplicity 2)
F 0.1143 0.8180 0.6947 (multiplicity 2)
F 0.3643 0.1775 0.5004 (multiplicity 2)
F 0.4778 0.2457 0.9992 (multiplicity 2)

***

[3]
Entry from the Alexandria database: a relaxed structure of PaCoSnPt (PBE-GGA).

Properties
**E_form**: -442 meV per atom
**Raw total energy**: -7.103 eV/atom
**Crystal system**: cubic

a = 6.7330 Å, b = 6.7330 Å, c = 6.7330 Å
α = 90.00°, β = 90.00°, γ = 90.00°
Space group F-43m (No. 216)
Inequivalent atoms, fractional coordinates:
Pa 0.0000 0.0000 0.0000 (multiplicity 4)
Co 0.2500 0.2500 0.7500 (multiplicity 4)
Sn 0.0000 0.0000 0.5000 (multiplicity 4)
Pt 0.2500 0.2500 0.2500 (multiplicity 4)

***

[4]
Entry from the Alexandria database: a relaxed structure of La2AuCl (PBE-GGA).

Properties
**ΔE_f (raw)**: -4.70 eV per formula unit
**Raw total energy**: -4.919 eV/atom
**Crystal system**: monoclinic

a = 7.6567 Å, b = 4.4103 Å, c = 7.2516 Å
α = 90.00°, β = 110.51°, γ = 90.00°
Space group C2/m (No. 12)
Inequivalent atoms, fractional coordinates:
La 0.2481 0.0000 0.2450 (multiplicity 4)
Au 0.0000 0.0000 0.5000 (multiplicity 2)
Cl 0.0000 0.5000 0.0000 (multiplicity 2)

***

[5]
Entry from the Alexandria database: a relaxed structure of TbHoZr (PBE-GGA).

Properties
**E_form**: 90 meV per atom
**Raw total energy**: -5.829 eV/atom
**Crystal system**: trigonal

a = 3.4088 Å, b = 3.4088 Å, c = 8.4106 Å
α = 90.00°, β = 90.00°, γ = 120.00°
Space group P3m1 (No. 156)
Inequivalent atoms, fractional coordinates:
Tb 0.0000 0.0000 0.0000 (multiplicity 1)
Ho 0.3333 0.6667 0.6316 (multiplicity 1)
Zr 0.6667 0.3333 0.3169 (multiplicity 1)

***

[6]
Entry from the Alexandria database: a relaxed structure of NdY5Pd2 (PBE-GGA).

Properties
**E_form**: -362 meV per atom
**Raw total energy**: -6.296 eV/atom
**Crystal system**: orthorhombic

a = 3.8841 Å, b = 12.9171 Å, c = 18.2005 Å
α = 90.00°, β = 90.00°, γ = 90.00°
Space group Cmcm (No. 63)
Inequivalent atoms, fractional coordinates:
Nd 0.0000 0.1495 0.2500 (multiplicity 4)
Y 0.0000 0.1149 0.7500 (multiplicity 4)
Y 0.0000 0.1549 0.0435 (multiplicity 8)
Y 0.0000 0.4464 0.1021 (multiplicity 8)
Pd 0.0000 0.2429 0.6266 (multiplicity 8)

***

[7]
Entry from the Alexandria database: a relaxed structure of KMn (PBE-GGA).

Properties
**E_form**: 1177 meV per atom
**Raw total energy**: -3.957 eV/atom
**Crystal system**: tetragonal

a = 4.5521 Å, b = 4.5521 Å, c = 3.3436 Å
α = 90.00°, β = 90.00°, γ = 90.00°
Space group P4/mmm (No. 123)
Inequivalent atoms, fractional coordinates:
K 0.0000 0.0000 0.0000 (multiplicity 1)
Mn 0.5000 0.5000 0.5000 (multiplicity 1)


Entry 1:
Y4Zn2Rh: optimized geometry, PBE.

Its space group is I4/mmm (139). The total magnetization is 0.00 μB/f.u. As for the formation energy: -0.376 eV/atom.

POSCAR file:
```
Y4Zn2Rh
1.0
7.016 0.000 0.000
0.000 7.016 0.000
0.000 0.000 6.969
Y Zn Rh
8 4 2
Cartesian
1.754 1.754 1.742
1.754 1.754 5.227
1.754 5.262 1.742
1.754 5.262 5.227
5.262 1.754 1.742
5.262 1.754 5.227
5.262 5.262 1.742
5.262 5.262 5.227
0.000 3.508 0.000
0.000 3.508 3.485